which is actually, very colourful!

One Terrene International (OTI) started its vision years ago by a group of people who believed it was possible to make the world a better place. In 2012, OTI became a registered non-profit and non-governmental organisation in the United Kingdom, followed by a second branch in Cyprus in 2013 and currently has 16 locations in the World. We know the world is not perfect, yet we believe that as a community, we can make it better for everyone, giving everyone the chance to be the best they can be, ensuring that every living entity has the right to enjoy life, prosper, ensuring that no one should be treated unfairly, and everyone has access to opportunities for growth.
The vision was to bring like-minded people together to work on similar causes, all with the hope to improve life. We had a simple motto; “One world unified through knowledge and sharing”. By sharing knowledge, we could achieve our goals and reduce the cost in doing so. From research to implementation.
Over the years OTI has shifted its goals to meet the needs of its communities, focusing heavily on youth, education, employment, environment and community. Trying to help the communities grow, strengthen and become more independent, vital players in education and the workforce by delivering projects and initiatives that engage with its target audience.
To realise our goals, we had two sources of support, our community made up of individual people and businesses and funding from various institutions, including the European Commission.
This allowed us to impact the lives of thousands of people, by educating communities on environmental conservation, training youth to gain skills and competencies to increase their employability, empowering youth to be active citizens, and reducing unemployment in Europe.
Today, we have an online community made up of over 5 million users, who have been helped by the different causes and efforts we support.
In 2020, COVID added a new burden to our communities, with many people losing their jobs, more families needing support, and new businesses failing due to lack of support. The need of finding financial stability within today’s economic environment is vital.
In 2021 many of our members and supporters suggested we jump on the cryptocurrency train as this is the future. This idea was developed due to the untransparent banking system our society had left as a legacy affecting so many families losing their homes in the past. The idea of crypto maintains the idea that people should own their own economy. Cryptocurrency could open the doors to more community support, where we all continue to help each other, giving what we can to help those who can’t help themselves, while being rewarded.
This is where the OTI Community Token (OTICT) was born.
Decentralised or Centralised?
The question of centralised or decentralised was posed from the start and when discussing it with our community, both seemed like viable options, however decentralised was favoured for the initial phase of our crypto project. It would be easier for our communities to get involved, and it would be simple to get more people involved of course, the initial cost would allow us to focus our resources on our main goals and causes rather than using our resources on a centralised system.
It is hoped that we will use both decentralised and centralised ecosystems in the future, however, we have received overwhelming interest from some centralised exchanges, and we are currently negotiating with them, it is hoped that we will be on at least 3 centralised exchanges by October 2022.
Our Roadmap planned to be listed on at least one centralised exchange by the start of the fourth quarter of 2022, and it seems that we are on track with this, however, this is conditional on the terms set by these exchanges, our priority is to invest our proceeds into our community, thus if the costs for centralised platforms outweigh the benefit to our community, we will limit the sale on exchanges that serve our purpose.
OTICT Roadmap
December 2021
Launch Private Pre-Sale
December 2021
January - March 2022
First Series of Public Pre-Sale Stages
April - June 2022
Second Series of Public Pre-Sale Stages
April - June 2022
June 2022
Final Phase of Public Pre-Sale Stages
July 2022
Launch on Pancakeswap and Marketing Event
July 2022
August 2022
Application to Centralised Exchange
Research into private exchange
05 September 2022
Listing on Centralised Exchange
We are officially listed on our first centralised exchange (coinsbit.io)
05 September 2022
November 2022
Launch of OTICT on payment gateways
December 2022
Community Projects Implementation
December 2022
Future Crypto and other Community Projects.
Impact Measuring
The Community Needs &
Our Approach
OTI started with a belief that for something to work or be fixed, the community needs to want this. We live in a world where we all have choices; we all have rights, obligations and freedoms and we are all part of a community. Some instances in life don’t allow us to enjoy these freedoms, and this is where the community needs to step in to bring a balance.

With community spirit in mind, we explored the needs of our society and over the last 10 years and we have impacted our communities in remarkable ways:
- Over €3M to support education and employability of youth in Europe
- Over €400,000 given to poor families in need, providing food and financial support (community shops)
- Over €1M given in education grants and scholarships
- Over €300,000 in support of environmental education, preservation and support
Looking Into the Future
Our vision in creating our crypto token is to support our causes,
to help as many people as we can and at the same time has a high and stable return to our supporters in a transparent manner.
The Need
There are many people in need of support of help in the world, and if we just give them financial support, why would they need to change their status? Our goal is to offer these people, housing, education and employability options so that they can eventually return to their communities as active members. It’s all about choice. We know that many people choose to stay on the streets begging for money and support, our focus, however, is on those who landed on the street due to unforeseen circumstances and want to return to normality, those who just need a second chance, and a little help to get there.

Our token offers that opportunity
Many people look at charity or community work and think that money given to these causes is used once and then no more, but this is not sustainable. In our project, we aim to establish a variety of social enterprises that will be able to support our causes and be sustainable, so that we are not constantly asking our community for support.
These Social Enterprises (ScEs) will be able to house families, while still operating with a profit from other sources, these ScEs will be able to offer employment opportunities while still allowing the income generated from these businesses to allow growth and sustainability for the entire OTI Group that its supporters, users, target audience now belong to. Together we are building a circular economy and society!
Current Vision and Goals
What are building, to employ, to protect the environment and to provide educational opportunities
Buy/build housing projects to accommodate over 100,000 families who are rendered homeless due to the economic difficulties due to the economic crisis and COVID-19
Employ over 100,000 people with a goal of employing over 1 million people by the end of 2030.
Creative NFT
Support artists and the creative industry by funding sustainable initiatives either via NFT projects and/or other events and projects.

-- Materials data that have nothing to do with the text --
=====
No. 1
Density functional theory data (GGA-PBE) for crystalline Li5CuP3O11 at its relaxed geometry.

The structure in extended XYZ format:
```
40
Lattice="5.390 0.000 0.000 -0.732 8.233 0.000 -0.117 -1.059 9.539" Properties=species:S:1:pos:R:3 pbc="T T T"
Li 5.345 -0.328 3.326
Li -0.803 7.503 6.213
Li 0.677 2.284 7.743
Li 0.725 4.628 6.451
Li 1.161 2.552 1.560
Li 1.174 4.790 3.341
Li 3.368 2.385 6.198
Li 3.381 4.623 7.979
Li 3.816 2.546 3.088
Li 3.865 4.891 1.797
Cu 0.000 0.000 0.000
Cu 2.637 -0.529 4.770
P 0.767 5.549 0.237
P 1.079 1.981 4.648
P 1.779 7.746 1.864
P 2.762 -0.571 7.676
P 3.463 5.194 4.891
P 3.775 1.625 9.302
O -0.237 0.902 9.366
O 0.165 0.781 4.959
O 0.460 2.852 3.522
O 0.663 4.517 1.361
O 1.316 0.424 1.509
O 0.656 7.039 7.580
O 1.182 4.008 8.438
O 1.356 2.783 5.951
O 1.384 6.900 3.103
O 1.893 6.639 0.679
O 2.473 1.415 4.134
O 2.069 5.760 5.405
O 2.649 0.536 8.860
O 3.158 0.275 6.436
O 3.185 4.392 3.588
O 3.360 3.166 1.102
O 3.885 0.135 1.959
O 3.226 6.750 8.031
O 3.879 2.657 8.178
O 4.082 4.323 6.017
O 4.377 6.393 4.580
O 4.779 6.273 0.174
```

Summary:
The value obtained for the calculated total energy is -253.8 eV for the cell shown. For the formation energy, the calculation gives -2.5063 eV/atom. As for the space-group type: P-1 (2).


No. 2
Density functional theory data (GGA-PBE) for crystalline Li2CuPO4 at its relaxed geometry.

The structure in extended XYZ format:
```
16
Lattice="5.057 0.000 0.000 0.000 5.418 0.000 -5.057 0.000 6.176" Properties=species:S:1:pos:R:3 pbc="T T T"
Li 0.000 0.824 0.000
Li -2.529 4.594 3.088
Li -2.533 1.780 4.650
Li -0.005 3.637 1.562
Cu 2.568 1.863 1.511
Cu 0.039 3.554 4.599
P 0.018 0.924 3.088
P -2.511 4.494 6.175
O -0.432 1.703 1.806
O -2.961 3.715 4.893
O -3.058 0.535 6.112
O -0.530 4.883 3.025
O -0.558 1.607 4.376
O 1.971 3.811 1.288
O 1.573 0.921 3.147
O 4.101 4.497 0.060
```

Summary:
The value obtained for the calculated total energy is -97.4 eV for the cell shown. As for the offset from the most stable computed form: 1.44 kJ per mole of atoms. For the formation energy, the calculation gives -2.2919 eV/atom. The calculation puts the largest piezoelectric modulus at 0.6 C/m². As for the space-group type: Pc (7).


No. 3
Density functional theory data (GGA-PBE) for crystalline Li2CuPO4 at its relaxed geometry.

The structure in extended XYZ format:
```
32
=====

• Plant 1 million trees annually to assist in reforestation as a result of devastating fires and human impact.
• Environmental conservation project support and awareness.
Offer 25,000 scholarships annually to excellent academic candidates with economic disadvantages to allow them to follow their educational path to ensure they continue to contribute to our communities with innovation, research, education, development & technology.